Map skills: the way forward!
Our learning has meandered all over the place this week, as we’ve flowed from Leonardo da Vinci, to a plethora of science questions inspired by this genius (such as why we see lightning before we hear thunder), to an abundance of art work, and finally to drawing maps. What started as a fascination by Bean7 in copying parts of an OS map led to an impromtu mini study on maps and navigation in general. And we’ve had so much fun with it! Here are the simple activities we completed to develop their map skills, all of which require minimal preparation.
1. Games with the Ordance Survey map
We pulled out our local OS map and started by reading the key together, identifying the most common symbols and their meaning, and then finding examples on the map. They particularly enjoyed finding our local pub! Bean7 has a current obsession with everything art related, so he was keen to have a go at drawing these common symbols.
I then found some interesting squares on the map for each of them, and asked them to name all the features to be found in that location. Bean7 insisted I pick a square with a danger area!
Grid References
Next on the agenda were grid references. We discussed four and six figure grid references and how to use them. Initially, I set them a challenge of finding the square relating to a four figure grid reference. Then, when they’d got the hang of it, they wanted to set me challenges in return, only this time I had to guess what specific part of the square they were thinking about! This rather neatly provided me a link in to explain how six figure grid references were used to pinpoint specifically where in the square you mean, enabling a greater degree of accuracy. They practised finding specific locations using the six figure references I’d given them, but again were much more enthused about setting me challenges!
Distances & Scales
Next, we looked at the scale on the map and noted the 4cm:1km ratio. We discussed how you can calculate real distances by measuring the distance on the map and converting to km using its scale ratio. As with the other exercises, I initially set them a task to practise this, by working out the distance between two points (using their six figure map references). But again, they insisted on reciprocating and setting me some problems to work out, and in the process reinforced their own understanding. As the old Latin proverb goes: the best way to learn is to teach (Docendo discimus)!
Sketching maps
Finally, in reponse to Bean7’s request for more drawing activities, they each chose a square from the OS map and endeavoured to sketch it in detail using graph paper. They were both eager to produce an accurate depiction of the square, carefully measuring where within the square each of the features should be located.
2. Planning and navigating their own walk using the OS map
I then set them a challenge of planning their own route for an afternoon walk in the sunshine. Such a simple activity, but so valuable. When working out approximately how long a walk to go on, Bean7 was curious to have an idea of how long a km is, and thus how long it would take him to walk, so we measured 4cm on the map from our house to show him how far 1km was from our front door.
A little time was then spent negotiating (OK, arguing!) about which route to take, but they finally agreed on a circular route around a local village. Using a piece of string, they measured the distance of the proposed route and converted this to km using the map’s ratio. It worked out to about 3.25km, a good distance for an afternoon walk, so off we set, map in hand.
Once I’d parked in the spot they’d requested, they took full charge of navigating us around the planned route. Other than showing them how to use landmarks, footpaths and roads to help them work out how far along the footpath they were, they managed to steer us around the countryside without getting lost! The walk was beautiful although somewhat eventful…
At one point, as we crossed a field in which a herd of sheep grazed by the gate and our exit, Bean7 suddenly dragged me back, shouting, “No, stop mummy! They’re going to attack.” I shrugged him off with a, “Don’t be ridiculous; they’re only sheep!” comment, but as I ushered my two children blithely towards the group, the ram suddenly made a charge at us! Bean7 very sensibly jumped out of the way and managed to get through the gate in double quick time, but Bean8 screamed and ran in the opposite direction. So, now I had one child out of the field standing by the roadside, with me on the other side and a ram in between me and my second child… I was seriously rocking this parenting lark!
Well, I thought to myself, I remember my dad telling me that if you’re ever in the African bush and come face to face with a lion (obviously a regular problem for most of us…), the best thing to do is to make yourself look as physically big as possible and stand your ground. Running off is absolutely the worst thing to do. So, I thought, that’s what I’d try, and with my hands on my hips and legs akimbo, I tried to stand my ground. Unfortunately, the lion image in my mind seemed to initiate an involuntary roar from my mouth. Yes, there I was, a grown adult, roaring at a sheep in a field… The ram took one look at this crazy thing in front of him and promptly charged!
At this point, adrenaline kicked in and I legged it! But, it did at least have the impact of drawing the ram away from Bean8. Fortunately, after a bit of mad running around the field, he stopped chasing me and Bean8 quickly ran over to me for a lift over the fence (there was no way I was going back near that gate and ram again!). Unfortunately, in my haste to throw myself over the fence, I managed to pin myself to said fence as the barbed wire hooked resolutely onto my tights! Awesome! As I stood there, precariously balanced with one leg high in the air trying to pull the barbed wire out of my tights, I got a serious case of the giggles (great timing!). This somewhat hindered my escape attempt.
But I finally managed to extricate myself, and with ripped tights, we wandered back to Bean7, who was waiting patiently on the safe side of the gate, only to be greeted by this sign:
It might have been helpful to have one of these on the other entrance to the field too!
Bean7 has always said that one of his favourite things about me is that I’m good at safety (what an accolade!). I think he may have to reconsider this in future…
After all the excitement had died down, we carried on with our walk. We’ve discussed contour lines before, and how the closer they are on a map, the steeper the side of the hill. The walk provided an excellent opportunity to show them this concept in practice, as we identified how the curves of the 3D landscape were represented on the 2D map, such as this U shaped valley.
Later on, we found some much more adorable and significantly less aggressive examples of the ovine population:
3. Understanding contours through art
**Data records that have nothing to do with the article:**
<<<
1.
An isolated ion of composition C6H10N and charge +1 in a non-equilibrium geometry, computed with the ωB97M-V functional and the def2-TZVPD basis.

```
17
Properties=species:S:1:pos:R:3:forces:R:3:nbo_charge:R:1
C -0.9883 0.5189 -1.3497 2.8 -1.0 1.6 -0.372
C -1.8032 0.6649 -2.2933 -1.5 0.4 -1.5 0.366
C -0.0615 -0.6499 -0.9139 2.2 0.2 -5.5 0.109
C -0.5187 -1.9336 -0.3195 1.3 1.6 -1.6 -0.660
C -0.8907 0.6577 0.9375 4.8 4.4 3.8 -0.379
C 1.1322 1.4620 -0.3923 2.8 2.4 0.6 -0.450
N -0.0417 0.6470 -0.2388 -1.6 -1.9 -1.6 -0.193
H 0.8837 -0.6751 -1.8293 -2.8 -0.2 3.2 0.287
H -1.4070 -1.7890 0.1537 -2.0 0.1 2.3 0.237
H 0.3483 -2.2606 0.1390 1.3 -1.0 2.2 0.256
H -0.7322 -2.7143 -0.9801 -0.2 -0.7 -1.9 0.282
H -1.3318 1.6787 0.9738 0.1 -0.9 0.4 0.251
H -1.5501 -0.0770 0.8854 -3.0 -2.8 -0.2 0.225
H -0.1479 0.4772 1.8344 -1.7 0.5 -1.4 0.240
H 2.1496 0.9804 -0.1279 -2.1 0.3 0.7 0.270
H 1.3875 1.6089 -1.4605 -1.0 0.5 0.4 0.266
H 0.9398 2.4440 0.2114 0.7 -1.7 -1.4 0.265
```
Positions in Å, forces in eV/Å.

Its total charge is +1. The value obtained for the maximum force is 7.510 eV Å⁻¹. For the HOMO energy, the calculation gives -15.341 eV.



2.
A 2-piece molecular cluster, C15H24N3O7PS overall in a non-equilibrium geometry, computed with the ωB97M-V functional and the def2-TZVPD basis.

```
51
Properties=species:S:1:pos:R:3:forces:R:3:nbo_charge:R:1
C 4.0337 2.7713 -0.4222 -0.3 0.0 0.2 -0.415
N 3.1191 1.8882 0.3031 1.1 0.5 -0.4 -0.608
C 1.7784 1.8396 0.3519 -0.4 -0.3 0.4 0.699
O 1.2882 1.0418 1.1470 -0.7 0.3 -0.5 -0.665
C 0.8304 2.7228 -0.5084 0.2 0.0 -0.4 -0.157
C -0.1996 1.8528 -1.2689 -0.4 -0.3 0.7 -0.403
C -1.6378 2.3120 -1.0097 -0.2 0.1 -0.4 -0.531
S -2.2122 1.9862 0.6805 0.2 -0.1 0.2 0.185
C -3.8390 2.7771 0.6077 0.2 0.1 -0.4 -0.740
N 1.4607 3.6479 -1.4648 0.9 -1.4 0.8 -0.620
C 0.9852 4.8500 -1.7878 -1.0 1.5 -0.1 0.674
C 1.7764 5.6278 -2.8120 -0.1 -0.1 0.0 -0.707
O -0.0310 5.3298 -1.3078 0.0 -0.3 0.2 -0.632
H 3.7840 3.8171 -0.2303 0.1 -0.1 -0.1 0.211
H 3.9970 2.5600 -1.4919 0.2 0.1 0.0 0.181
H 5.0545 2.5991 -0.0745 -0.2 -0.1 0.0 0.225
H 3.5502 1.2153 0.9209 -0.2 0.0 0.0 0.415
H 0.2885 3.3273 0.2220 0.0 0.0 0.0 0.269
H -0.1186 0.8071 -0.9692 0.1 0.0 0.1 0.221
H -0.0066 1.8953 -2.3423 0.1 0.1 0.1 0.217
H -2.2963 1.7832 -1.6994 -0.1 0.0 0.0 0.210
H -1.7173 3.3793 -1.2171 0.0 0.1 0.1 0.232
H -4.4383 2.3132 -0.1761 -0.1 0.0 0.1 0.211
H -4.3433 2.6581 1.5667 0.2 -0.1 0.0 0.234
H -3.7190 3.8395 0.3928 -0.1 0.0 0.0 0.218
H 2.3019 3.3419 -1.9219 -0.2 0.0 -0.1 0.394
H 2.7395 5.9041 -2.3887 0.2 0.0 -0.1 0.225
H 1.2208 6.5282 -3.0720 0.1 -0.1 0.1 0.249
H 1.9186 5.0200 -3.7032 0.2 0.0 -0.1 0.220
O 0.2935 -3.8591 -1.7570 -1.3 0.7 1.0 -0.556
C -0.6115 -3.5472 -0.9941 1.7 -0.8 -1.7 0.751
O -1.1002 -2.2804 -0.9488 0.0 -0.9 0.3 -0.674
C -1.2046 -4.5930 -0.0937 -1.6 -0.9 1.9 0.070
N -1.5567 -5.7843 -0.6434 0.4 0.8 -0.1 -0.367
C -2.0816 -6.7567 0.1096 0.3 1.0 0.3 0.027
C -2.2945 -6.5926 1.4741 0.0 0.1 0.1 -0.226
C -1.9602 -5.3859 2.0789 0.1 -0.2 -0.7 -0.170
>>>
**So much for the data records:**
In order to bring the concept of map contours to life for the children, we completed three fun and simple art ideas.
Firstly, they made these, with each of the colours representing a different contour:
Secondly, we found some interestingly shaped rocks and attempted to draw where we thought the contour lines should go:
Thirdly, I made a batch of playdough (it’s been a long time since I’ve made any of this!), moulded it into the shape of a hill with one steep side and one shallow side, and wrapped pieces of wool around the hill to show where the contours would go. We even added a blue trigonometrical point to the highest point of the peak!
Then, after viewing the model from directly above, they drew the contours as they would be on a 2D map. This was a great activity to help with their spatial reasoning and an excellent way of demonstrating the complexities facing cartographers.
4. Orienteering
Orienteering, in which you navigate between control points marked on a special orienteering map, writing down the code you find at each marker post, massively appeals to my challenge loving children. It’s like a puzzle to solve. Add in a group of friends, a chocolate prize on completion and a comment of, “I wonder how fast you can do this in?” and you’ve got yourself a winning combination!
We recently visited Bedgebury National Pinetum and Forest with a group of home ed friends, and, for the princely sum of £2, we bought one of their orienteering maps and set off for some fun in the woods! The children practised their team working as well as their navigation skills, and had lots of fun together (despite the torrential rain!) trying to find the marker posts. It was a lovely way to spend an afternoon.
If you’re interested in orienteering, check out the British Orienteering website, which lists all the orienteering courses available in the country, available for either free download or for a minimal cost. It also lists all the orienteering competitive events along with the non competitive club activity sessions organised by local orienteering groups.
5. Navigating using the Sat Nav
In this country, I rarely involve the children in helping me to navigate to a destination. I automatically plug in the sat nav, pop on an audiobook for the children and set off. However, our journey to Bedgebury is a complicated and long drive, down lots of small roads, and given our recent dabble into the world of maps, it proved to be an excellent opportunity for the kids to have a go at navigating. Bean8 navigated me there and Bean7 back, both relishing the chance to sit in the front and be trusted with such an important task 🙂
6. Delving into books about maps
=====
one | Here is one molecule with the formula C4H9N from OMol25. Energies are from wB97M-V/def2-TZVPD.

```
! wB97M-V def2-TZVPD RIJCOSX def2/J DEFGRID3
* xyz 0 1
C -1.1271 0.3423 -0.1144
C 0.1821 1.1681 -0.0278
C 1.2990 0.0833 0.1616
N 0.7258 -1.2093 -0.1892
C -0.6772 -1.0754 0.2360
H -1.5279 0.3567 -1.1386
H -1.9188 0.7115 0.5575
H 0.1732 1.8947 0.8277
H 0.3023 1.7875 -0.9330
H 1.6390 0.0254 1.2045
H 2.1765 0.3015 -0.4801
H 0.7528 -1.3640 -1.2016
H -1.3012 -1.8304 -0.2277
H -0.6985 -1.1918 1.3250
*
```

Computed properties:
- LUMO: 1.17 eV
- SMILES: C1CCNC1
- HOMO energy: -9.01 eV
- HOMO-LUMO gap: 10.1822 eV

two | Here is one molecule with the formula C4H9N from OMol25. Energies are from wB97M-V/def2-TZVPD.

```
! wB97M-V def2-TZVPD RIJCOSX def2/J DEFGRID3
* xyz 0 1
C -0.2144 -0.6635 1.5324
C -0.0395 0.4418 0.4649
C 1.1422 0.3458 -0.5190
N 0.2116 0.6051 -1.6257
C -0.9391 0.2285 -0.7932
H -0.3374 -1.6184 0.9422
H 0.6605 -0.7507 2.2334
H -1.1384 -0.5242 2.2195
H -0.1121 1.4804 0.8992
H 1.9847 1.0376 -0.4380
H 1.5100 -0.6919 -0.5147
H 0.3154 0.0216 -2.4469
H -1.2244 -0.7908 -1.0261
H -1.8191 0.8786 -0.9278
*
```

Computed properties:
- LUMO: 1.21 eV
- SMILES: CC1CNC1
- HOMO energy: -8.79 eV
- HOMO-LUMO gap: 10.0006 eV

three | Here is one molecule with the formula C4H9N from OMol25. Energies are from wB97M-V/def2-TZVPD.

```
! wB97M-V def2-TZVPD RIJCOSX def2/J DEFGRID3
* xyz 0 1
C 0.0997 0.9712 -1.3618
C -0.5257 0.6331 -0.0174
C -1.1873 -0.6324 0.3146
C 0.1313 -0.2374 0.9453
N 1.2496 -0.9042 0.5100
H 0.5553 1.9757 -1.4771
H -0.6885 0.7956 -2.1924
H 1.0455 0.2548 -1.4829
H -1.0952 1.4137 0.4040
H -2.0117 -0.4736 1.0075
H -1.0837 -1.4104 -0.3274
H 0.1166 0.0590 2.0366
H 2.1351 -0.5545 0.8445
H 1.2589 -1.8907 0.7965
*
```

Computed properties:
- LUMO: 1.18 eV
- SMILES: C[C@H]1C[C@H]1N
- HOMO energy: -9.06 eV
- HOMO-LUMO gap: 10.2356 eV

four | Here is one molecule with the formula C4H9N from OMol25. Energies are from wB97M-V/def2-TZVPD.

```
! wB97M-V def2-TZVPD RIJCOSX def2/J DEFGRID3
* xyz 0 1
C -0.0206 -1.1830 1.1289
C -0.3200 -0.3101 0.1457
C -1.7026 -0.2761 -0.5156
C 0.6526 0.6751 -0.4979
N 1.9662 0.6708 0.1546
H 0.9138 -1.2033 1.7623
H -0.8167 -1.9016 1.4672
H -1.5087 -0.2310 -1.6044
H -2.3260 -1.2824 -0.4122
H -2.3325 0.6087 -0.1508
H 0.7742 0.3210 -1.5626
H 0.1115 1.6177 -0.5922
H 2.6177 1.2375 -0.3861
H 1.9912 1.2568 1.0631
*
```

Computed properties:
- LUMO: 1.03 eV
- SMILES: C=C(C)CN
- HOMO energy: -9.15 eV
- HOMO-LUMO gap: 10.1807 eV

Short version: one is the most stable of them.

one | Here is one molecule with the formula C4H9N from OMol25. Energies are from wB97M-V/def2-TZVPD.

```
! wB97M-V def2-TZVPD RIJCOSX def2/J DEFGRID3
* xyz 0 1
C 1.3117 1.7441 0.3968
C 1.0463 0.2290 0.6854
C 0.4776 -0.4628 -0.3147
N -0.7093 -1.3341 -0.2964
C -1.8717 -0.5021 -0.5027
H 1.7730 2.1948 1.3029
H 2.0626 1.9531 -0.4059
H 0.3795 2.2924 0.4788
H 1.7355 -0.2235 1.3967
H 0.5181 0.0213 -1.3049
H -0.6782 -1.8168 0.5919
H -1.8264 0.1384 -1.3769
=====
Back to the entry =
And last, but not least, no project would be complete in our house without some lovely books to complement the theme. Here’s what we selected and enjoyed together; their favourite was undoubtedly The Scary Places Mapbook.
And for the older child/adult map lover out there, we’d recommend Map Addict by Mike Parker; an excellent summer read.
Happy Navigating!
Such great ideas for teaching little dragons about navigating their way.